Heritage Week took place this year from 17- 25 August.…
Going online to support communities working to enhance water quality and biodiversity
In these strange times, the work of the Local Authority Community Waters Officers has had to move online. Ruairí Ó Conchúir tells us how he has moved to Zoom training events for local communities – and that while this has allowed him to support communities during the pandemic, it can never be as effective as chatting face-to-face over a cup of tea…
What started out as one to one online support to individual community groups in late March 2020, at the very start of the COVID-19 lockdown, soon developed into a comprehensive training programme. The online Zoom based training was designed to support community groups in the Mid-West to engage with their local water bodies in terms of water quality, biodiversity, habitat enhancement work, biosecurity and the sharing of ideas on water related projects and ways in which local groups and individual champions can help build local community resilience.
In the period from mid-April to early July 2020 a total of 12 online training events for community groups were delivered. These free online training events were designed to support groups to gain a better understanding of the various interrelated issues at play within their local water bodies.

Amongst other focus areas, the training included the following:
- Otter Identification & Citizen Science Survey Work and Approaches focused on otter and American mink identification, otter survey work, recording of data and possible otter habitat restoration works
- Dragonfly and Damselfly Identification and Citizen Science Survey Work focused on approaches and techniques to survey work, data capture and recording, habitat management and site-specific planning
[Unrelated to this article: quantum chemistry results]
/*
ORCA calculation (ωB97M-V/def2-TZVPD) on one molecule with the formula C2H5OP in a non-equilibrium geometry.

Element x y z (Å)
C 0.407452 -0.203785 -1.649088
C 0.154455 -0.373550 -0.376221
O -0.721020 0.366746 0.463483
P 0.051273 0.757488 1.874180
H 1.127499 -0.791197 -2.122856
H 0.030733 0.674074 -1.986733
H 0.631265 -1.016403 0.352293
H -0.923719 1.575486 2.320132
H 0.973603 1.766802 1.379787

Forces on the atoms, in the same order (eV/Å):
-0.05 -0.59 2.20
-0.35 -0.28 2.87
0.33 0.26 -1.93
1.56 -0.82 -0.30
0.80 -0.73 -0.80
-1.24 2.24 -1.98
0.54 -1.08 -0.79
-0.97 1.16 0.44
-0.61 -0.16 0.30

Output
HOMO level, eV: -9.257
Relative energy (zero: lowest compared OMol25 entry of this formula, charge and spin), kcal per mole: 34.9
Total charge: 0
Strongest force on any atom, hartree/bohr: 0.063
Lowest unoccupied orbital energy, eV: 1.05
SMILES: C=COP
E_tot, Eh: -495.7250

=====

# C63H144N19O19

19 unconnected molecules or ions with the total composition C63H144N19O19 at a distorted geometry (ωB97M-V/def2-TZVPD, the OMol25 dataset).

Bonds (Å) are listed after each position.
Atoms and positions in Å:
1 C 2.914 -0.053 -0.685  C2 1.543, H12 1.090, H13 1.090, H14 1.090
2 C 1.456 0.131 -0.213  C1 1.543, C3 1.586, N7 1.503, C11 1.523
3 C 1.565 1.215 0.939  C2 1.586, C4 1.481, H15 1.090, H16 1.090
4 C 0.186 1.566 1.349  C3 1.481, C5 1.495, H17 1.090, H18 1.090
5 C -0.604 2.091 0.193  C4 1.495, C6 1.541, H19 1.090, H20 1.090
6 C -0.724 1.204 -1.062  C5 1.541, N7 1.494, C9 1.545, C10 1.559
7 N 0.666 0.734 -1.341  C2 1.503, C6 1.494, O8 1.479
8 O 0.670 -0.101 -2.562  N7 1.479
9 C -1.266 2.112 -2.189  C6 1.545, H21 1.090, H22 1.090, H23 1.090
10 C -1.830 0.141 -0.787  C6 1.559, H24 1.090, H25 1.090, H26 1.090
11 C 1.052 -1.249 0.288  C2 1.523, H27 1.090, H28 1.090, H29 1.090
12 H 3.059 -0.772 -1.492  C1 1.090
13 H 3.591 -0.421 0.086  C1 1.090
14 H 3.291 0.833 -1.196  C1 1.090
15 H 1.984 2.182 0.660  C3 1.090
16 H 2.181 0.902 1.782  C3 1.090
17 H 0.153 2.395 2.056  C4 1.090
18 H -0.253 0.697 1.839  C4 1.090
19 H -0.359 3.135 0.000  C5 1.090
20 H -1.580 2.077 0.678  C5 1.090
21 H -1.274 1.533 -3.113  C9 1.090
22 H -0.604 2.920 -2.499  C9 1.090
23 H -2.300 2.445 -2.103  C9 1.090
24 H -1.725 -0.320 0.195  C10 1.090
25 H -1.824 -0.685 -1.498  C10 1.090
26 H -2.868 0.475 -0.803  C10 1.090
27 H 0.947 -1.975 -0.518  C11 1.090
28 H 0.117 -1.183 0.845  C11 1.090
29 H 1.841 -1.717 0.876  C11 1.090
30 C 1.978 3.963 -2.144  C31 1.525, H35 1.090, H36 1.090, H37 1.090
31 C 2.274 3.497 -3.566  C30 1.525, O32 1.227, N33 1.332
32 O 2.636 4.348 -4.373  C31 1.227
33 N 2.072 2.240 -3.959  C31 1.332, C34 1.410, H38 1.010
34 C 2.345 1.644 -5.208  N33 1.410, H39 1.090, H40 1.090, H41 1.090
35 H 2.757 4.652 -1.820  C30 1.090
36 H 1.868 3.100 -1.487  C30 1.090
37 H 1.083 4.581 -2.073  C30 1.090
38 H 1.739 1.632 -3.225  N33 1.010
39 H 2.705 2.401 -5.905  C34 1.090
40 H 1.432 1.164 -5.560  C34 1.090
41 H 3.165 0.934 -5.099  C34 1.090
*/
[Here the article continues]
- How Our Rivers Work and How We Can Work With Our Rivers focused on rivers as biodiversity corridors and practical measures communities can undertake to support their local river as part of their wider catchment
- Control and Management of Alien Invasive Species focused on the practical steps to take to control and manage invasive plant species along rivers
- Waterbodies and the Work of Tidy Towns focused on how groups can create a greater understanding of local water bodies, undertake practical measures to improve water quality, biodiversity planning, riparian management, and site-specific planning to lessen the impact of climate change
- Wetlands – Helping Communities Reconnect with Nature focused on the Shannon Town Community Wetlands Restoration Project and other community wetlands in Ireland helping communities reconnect with nature
- Biosecurity, You and Your Local Water Body focused on the ever-present threat of Crayfish Plague and invasive species and how communities can raise awareness of biosecurity risks and undertake preventative measures, including the Check-Clean-Dry protocol, to lessen the impacts on local rivers and recreational waters
- Project Work, Funding and Project Planning focused on how communities can access funding, plan projects, share tips and project ideas to enhance their local water bodies while building community resilience in the face of the current climate change crisis and biodiversity emergency
The online training was targeted at community and voluntary groups, Tidy Town groups, development associations, environmental NGOs, farmers and landowners throughout counties Clare, Limerick and Tipperary during the period of COVID-19 lockdown. The training was delivered by Ruairí Ó Conchúir, with joint training sessions delivered with Olive Carey of the Shannon Wetlands Project and with David Wall, of Dragonfly Ireland, on dragonfly identification, survey work and techniques.

In terms of uptake and engagement there was very considerable interest in the training with noteworthy support from LAWPRO HQ, various PPNs, local authorities and LEADER companies in the Mid-West. The need for technical and back-up support to go online is significant, especially if the training is being delivered as a one person operation. Pre-registration is also a critical factor for GDPR reasons and to prevent Zoom-bombing. A hosting platform, where the trainings can be made more widely accessible, is also essential.
Irrespective of the massive changes that have occurred in how we communicate and engage online there is no substitute to face-to-face training and practical engagements with community groups. Holding online training events and meetings during the COVID-19 public health emergency offered a way to keep communities engaged. But moving forward to the reopening phase of Irish society it is important to acknowledge that such online and virtual events can be deeply disempowering. The virtual world is all very well for those who can go virtual, but it can also be extremely marginalising, especially within isolated rural communities and for those not in a position to go virtual for multiple reasons. Ultimately going online is very poor substitute for effective public consultation, real active community engagement and networking – not forgetting the all-important cup of tea after a community meeting!